More Prefrosh Weekend Fun!

More Prefrosh Weekend Fun!

Next to the article, the page also holds records of crystals =
~~~
Material: AcPr2Ge2Pd2
Method: DFT, PBE
State: relaxed Values from VASP.

Output
The calculation puts the energy of formation at -792.7 meV/atom.

Cell and atoms, written as Quantum ESPRESSO input:
```
&SYSTEM
  ibrav = 0, nat = 7, ntyp = 4
/
ATOMIC_SPECIES
Ge 72.64 Ge.upf
Pd 106.42 Pd.upf
Pr 140.91 Pr.upf
Ac 227.00 Ac.upf
ATOMIC_POSITIONS crystal
Ge 0.744 0.744 0.767
Ge 0.256 0.256 0.233
Pd 0.598 0.598 0.207
Pd 0.402 0.402 0.793
Pr 0.126 0.126 0.622
Pr 0.874 0.874 0.378
Ac 0.000 0.000 0.000
CELL_PARAMETERS angstrom
4.572 0.000 0.000
2.286 3.960 0.000
2.286 1.320 9.804
```

=====

LiPuGa | GGA-PBE | optimized geometry

Geometry as extended XYZ:
```
6
Lattice="-1.534 -2.798 2.269 2.353 -2.419 1.985 0.235 2.946 7.171" Properties=species:S:1:pos:R:3 pbc="T T T"
Li 0.802 -3.068 6.894
Ga 0.521 -0.297 6.743
Li 0.253 0.796 4.531
Ga 0.534 -1.975 4.682
Pu 0.271 -1.451 1.772
Pu 0.784 -0.821 9.654
```

Results
- ΔE_f (meV/atom) = -10
- symmetry = R-3m, No. 166
- energy relative to the lowest polymorph listed for this composition (meV/atom) = 179.5

=====

VASP calculation (GGA-PBE) on a geometry-optimized InRh2Se structure.

Cell: 3.189 5.140 8.458 Å, 90.00 90.00 90.00°
Space group Immm (No. 71)
Unique sites:
In 0.000 0.000 0.000
Rh 0.000 0.500 0.232
Se 0.000 0.000 0.500

Calculated values
As for the uncorrected formation energy: 0.040 eV per atom. The calculation puts the density of states at the Fermi level at 5.37 states/eV/f.u. The calculated total energy is -5.192 eV per atom.

VASP calculation (GGA-PBE) on a geometry-optimized La6Tc2I3N structure.

Cell: 7.119 12.192 8.521 Å, 90.00 104.88 90.00°
Space group C2/m (No. 12)
Unique sites:
La 0.219 0.000 0.306
La 0.231 0.157 0.672
Tc 0.000 0.371 0.500
I 0.000 0.177 0.000
I 0.000 0.500 0.000
N 0.000 0.000 0.500

Calculated values
As for the uncorrected formation energy: -0.774 eV per atom. The calculation puts the density of states at the Fermi level at 5.66 states/eV/f.u. The calculated total energy is -6.047 eV per atom.

VASP calculation (GGA-PBE) on a geometry-optimized MgCr2Os structure.

Cell: 4.328 4.328 2.989 Å, 90.00 90.00 90.00°
Space group P4/mmm (No. 123)
Unique sites:
Mg 0.000 0.000 0.000
Cr 0.000 0.500 0.500
Os 0.500 0.500 0.000

Calculated values
For the energy of formation, the calculation gives 0.3526 eV per atom. The calculation puts the density of states at the Fermi level at 3.01 states/eV/f.u. The calculated total energy is -7.665 eV per atom.

VASP calculation (GGA-PBE) on a geometry-optimized TlSn6Pb12 structure.

Cell: 14.7253 14.7253 9.9653 Å, 90.00 90.00 120.00°
Space group R-3m (No. 166, hexagonal axes)
Unique sites:
Tl 0.0000 0.0000 0.0000
Sn 0.0728 0.5364 0.2278
Pb 0.0000 0.3845 0.5000
Pb 0.0801 0.1603 0.2640

Calculated values
For the energy of formation, the calculation gives 0.1065 eV per atom. The calculation puts the density of states at the Fermi level at 10.87 states/eV/f.u. The calculated total energy is -3.624 eV per atom.
~~~

So Prefrosh Weekend is winding down now, which is very sad. I’ve enjoyed meeting you guys over the past few days! On Friday I was in charge of the Concert Band’s booth at the ASCIT Club Fair. ASCIT–the Associated Students of Caltech–is our student government, and they help fund a large number of the clubs on campus. Therefore, for the prefrosh, they organized the fair so that all the interesting organizations on campus had an opportunity to present themselves to a new generations of impressionable Techers.

So if you were around for Prefrosh Weekend, you know that there was some confusion as to how long the weekend’s events were. Unfortunately, a whole bunch of prefrosh left early on Saturday morning…but for those that stuck around, there was a full day of events planned. I know about this from emails; I spent almost the entire day getting dinner ready for pretty much the entire campus.

Winter term my freshman year, my house president approached me and asked if I’d be interested in taking a special vegetarian section of the popular cooking class. While at first I was hesitant, I soon realized what an amazing opportunity it was and joined. After having taken the class, I was completely hooked, so now I am a cooking class TA.

Being part of the cooking class means supporting one of the most popular classes (if not the most popular class, Bi 10 lab notwithstanding) on campus.Cooking classis always filled to capacity and then some–Tom Mannion, who runs it (and is also a student life administrator) just can’t seem to say no to people who ask to be in the class.

Being a cooking TA also means I get to help provide food to my fellow classmates. Why is this at all fun, you ask? Why slave over a hot grill for 6 hours cooking ears of corn? Call me crazy, but it’s a great feeling to know that you’re partially responsible for bringing people together over the most universal interest: food.

# Data records, kept here for reference
<<<
[1]
First-principles (PBE) data for DyTc2GeC after structural relaxation, as listed in the Alexandria database.

Cell: 3.914 5.846 7.478 Å, 90.00 90.00 109.56°
Fractional positions:
Dy (0.458, 0.916, 0.750)
Dy (0.542, 0.084, 0.250)
Tc (0.170, 0.339, 0.942)
Tc (0.830, 0.661, 0.058)
Tc (0.170, 0.339, 0.558)
Tc (0.830, 0.661, 0.442)
Ge (0.735, 0.469, 0.750)
Ge (0.265, 0.531, 0.250)
C (0.000, 0.000, 0.000)
C (0.000, 0.000, 0.500)

Summary:
SG: Cmcm

***

[2]
First-principles (PBE) data for Dy2Ti2Ge2C after structural relaxation, as listed in the Alexandria database.

Cell: 4.171 4.171 8.106 Å, 104.91 104.91 90.00°
Fractional positions:
Dy (0.166, 0.166, 0.332)
Dy (0.834, 0.834, 0.668)
Ti (0.000, 0.500, 0.000)
Ti (0.500, 0.000, 0.000)
Ge (0.373, 0.373, 0.746)
Ge (0.627, 0.627, 0.254)
C (0.000, 0.000, 0.000)

Summary:
SG: I4/mmm

***

[3]
First-principles (PBE) data for Dy6HC2I3 after structural relaxation, as listed in the Alexandria database.

Cell: 6.549 6.549 7.733 Å, 98.25 98.25 119.88°
Fractional positions:
Dy (0.943, 0.594, 0.828)
Dy (0.707, 0.707, 0.174)
Dy (0.057, 0.406, 0.172)
Dy (0.594, 0.943, 0.828)
Dy (0.293, 0.293, 0.826)
Dy (0.406, 0.057, 0.172)
H (0.000, 0.000, 0.000)
C (0.334, 0.666, 0.000)
C (0.666, 0.334, 0.000)
I (0.167, 0.833, 0.500)
I (0.833, 0.167, 0.500)
I (0.500, 0.500, 0.500)

Summary:
SG: C2/m

***

[4]
First-principles (PBE) data for DyHCN2 after structural relaxation, as listed in the Alexandria database.

Cell: 3.486 5.049 7.189 Å, 90.00 90.00 110.19°
Fractional positions:
Dy (0.768, 0.536, 0.250)
Dy (0.232, 0.464, 0.750)
H (0.866, 0.733, 0.750)
H (0.134, 0.267, 0.250)
C (0.500, 0.000, 0.500)
C (0.500, 0.000, 0.000)
N (0.375, 0.750, 0.046)
N (0.625, 0.250, 0.546)
N (0.375, 0.750, 0.454)
N (0.625, 0.250, 0.954)

Summary:
SG: Cmcm

***

[5]
First-principles (PBE) data for Dy4HC2N after structural relaxation, as listed in the Alexandria database.

Cell: 3.562 6.207 6.112 Å, 109.35 90.00 90.00°
Fractional positions:
Dy (0.500, 0.240, 0.256)
Dy (0.500, 0.760, 0.744)
Dy (0.000, 0.231, 0.733)
Dy (0.000, 0.769, 0.267)
H (0.500, 0.500, 0.000)
C (0.500, 0.000, 0.500)
C (0.000, 0.500, 0.500)
N (0.000, 0.000, 0.000)

Summary:
SG: P2/m

***

[6]
First-principles (PBE) data for Dy6H3C2O after structural relaxation, as listed in the Alexandria database.

Cell: 6.135 6.135 6.055 Å, 99.64 99.64 120.14°
Fractional positions:
Dy (0.923, 0.589, 0.767)
Dy (0.744, 0.744, 0.232)
Dy (0.077, 0.411, 0.233)
Dy (0.589, 0.923, 0.767)
Dy (0.256, 0.256, 0.768)
Dy (0.411, 0.077, 0.233)
H (0.175, 0.825, 0.500)
H (0.825, 0.175, 0.500)
H (0.500, 0.500, 0.500)
C (0.334, 0.666, 0.000)
C (0.666, 0.334, 0.000)
O (0.000, 0.000, 0.000)

Summary:
SG: C2/m

***

[7]
First-principles (PBE) data for Dy4PHC2 after structural relaxation, as listed in the Alexandria database.

Cell: 3.728 6.329 12.534 Å, 90.00 90.00 107.13°
Fractional positions:
Dy (0.266, 0.531, 0.110)
Dy (0.734, 0.469, 0.610)
Dy (0.734, 0.469, 0.890)
Dy (0.266, 0.531, 0.390)
Dy (0.000, 0.000, 0.500)
>>>

Of course, post-dinner is my absolute favourite part of cooking…clean up. It was made slightly more enjoyable by the music and comedic stylings of Grand Buffet, making their reappearance at Caltech after opening for Third Eye Blind earlier this year.

-- begin --
Record 1
A relaxed structure of Cu5Rh. Source: Alexandria, functional GGA-PBEsol.

Cell lengths 4.183, 6.664, 6.664 Å; angles 22.36, 90.00, 90.00 degrees
Sites, in units of the cell vectors:
1 Cu 0.000 0.000 0.000
2 Cu 0.000 0.330 0.330
3 Cu 0.000 0.666 0.666
4 Cu 0.500 0.117 0.117
5 Cu 0.500 0.778 0.778
6 Rh 0.500 0.449 0.449

Output
Total energy   -4.918 eV per atom
ΔH_f (0 K)   50 meV/atom

---

Record 2
A relaxed structure of Cu4Rh. Source: Alexandria, functional GGA-PBEsol.

Cell lengths 4.414, 4.414, 4.414 Å; angles 99.95, 99.95, 130.89 degrees
Sites, in units of the cell vectors:
1 Cu 0.096 0.698 0.794
2 Cu 0.302 0.096 0.398
3 Cu 0.698 0.904 0.602
4 Cu 0.904 0.302 0.206
5 Rh 0.500 0.500 0.000

Output
Total energy   -5.053 eV per atom
ΔH_f (0 K)   42 meV/atom

---

Record 3
A relaxed structure of Cu3Rh. Source: Alexandria, functional GGA-PBEsol.

Cell lengths 8.438, 8.438, 8.438 Å; angles 17.62, 17.62, 17.62 degrees
Sites, in units of the cell vectors:
1 Cu 0.000 0.000 0.000
2 Cu 0.253 0.253 0.253
-- stop --

Now, more than ever, I miss actually TAing the cooking class–I did it first term, but since it changes days (from Tuesday nights to Wednesdays and then Thursdays), I haven’t been able to TA since. I’ve hear along the grapevine, however, that there might be enough interest to have another vegetarian section–and that I’d love to TA! In any case, it’s going to be hard to go back to normalcy after the excitement of Prefrosh Weekend (of course, that’s also what I said after going to Disneyland last weekend!). I hope that everyone who came got to know all about Caltech and is psyched to be part of the class of 2014. And, of course, if you were unable to make it, please give the admissions office a call, make an appointment to spend the day here, or just ask your questions in the comments.

A bientot, Mythili.